My husband of 25 years is having great difficulty with denial in regards to his advancing Parkinson's Disease and my increasing difficulty caring for him in our home.
I drew a final line in the sand this morning: He will need to move into a nursing home. I will need to visit him there every day. He does not believe that this is going to happen, likely because of mental changes due to PD but also because he has always been a denier.
I cannot, I will not change diapers on the man I love. Can't do it. Won't do it. He denies he has intermittent urinary incontinence, even in face of concrete evidence to the contrary.
Today, I told him that there were two ways we could get him into a nursing home.
He chose option 2, although he believes that if we go for option 2, he can convince the nursing home that he is not a candidate. Given our health care system, he may be able to do just that.
I wanted option 1 because I believe I can get more assistance (e.g., social worker at hospital) than with a facility that might have a vested interest in either turning him away (the better ones) or a vested interest in taking him because they need clientele (the lesser ones).
Input please. I am posting this is another forum as well since I'm new to this site.
Have you spoken with any facilities about their admittance policies?
Will you be self pay or Medicaid?
When you visit places, this is where you mention his reluctance.
Welcome and glad that you are here and that you have been honest with your husband.
Now do tell me that you are also his POA and that was done when he was competent. (This may be part of his will; a document called Spring POA) would allow your MD who treats his Parkinson's and one more MD, usually a neuro-psyc examiner) to write you in as POA.
You would then choose his plan of care after examination of his assets and yours with an Elder Law Attorney, and division of assets to protect your own money.
You would then examine placement. He may qualify for locked unit in inbetween care which is sort of an ALF with more staff and locked facility. Do the tours. Consider using A Place for Mom type businesses if he will enter self-pay.
Lots involved here. First is qualifying yourself to act and protecting assets. 2nd will be examination and diagnosis 3rd will be placement.
Wishing you so much good luck; hoping you have family or friends for support.
(The article is interrupted by records of crystals)
/*
[1]
Here is a geometry-optimized ThPtRh structure from Alexandria via LeMat-Bulk. Energies are from GGA-PBE.

abc: 3.706 3.706 5.183
angles: 110.94 110.94 90.00
Element x y z (fractional)
Pt 0.281 0.281 0.561
Rh 0.954 0.954 0.908
Th 0.615 0.615 0.230

Calculated values
- space group = I4mm, No. 107
- energy above the most stable polymorph in this dataset (kJ/mol of formula units) = 66
- energy of formation from the pure elements (kJ/mol of atoms) = -78.3
- calculated total energy (eV/cell) = -23.247
- DOS(E_F) (states/eV per cell) = 2.8


[2]
Here is a geometry-optimized Er3HfIn3Se8 structure from Alexandria via LeMat-Bulk. Energies are from GGA-PBE.

abc: 8.073 8.073 9.084
angles: 116.39 90.00 120.00
Element x y z (fractional)
Er 0.500 0.500 0.500
Er 0.500 0.000 0.500
Er 0.000 0.500 0.500
In 0.000 0.000 0.000
In 0.000 0.500 0.000
In 0.500 0.500 0.000
Se 0.226 0.452 0.701
Se 0.226 0.975 0.701
Se 0.250 0.025 0.299
Se 0.774 0.025 0.299
Se 0.774 0.548 0.299
Se 0.736 0.472 0.707
Se 0.264 0.528 0.293
Se 0.750 0.975 0.701
Hf 0.000 0.000 0.500

Calculated values
- uncorrected formation energy (kcal/mol of atoms) = -30.18
- space group = R-3m, No. 166
- calculated total energy (eV/cell) = -79.365
- DOS(E_F) (states/eV per cell) = 0.1
*/
1. POA
2. Diagnosis
3. Choosing facility
After that he can be transported by medical van.
Good luck. Keep us updated if you will. Read up on the Forum; there's lots to learn here.
When you have time, read Contented Dementia by Oliver James. One tip from that book, for Move-In day (to the home): Have a family member or friend already there before he gets there, then have that friend/family member 'accidentally' stumble on husband and sit down for a chat. As if he/she also lives there. Also, if the gambit is that it is a 'temporary' stay, don't make his room look like home, initially, but keep it sparce as if it were just a hotel room.
If you do not have an elder care attorney licensed in your state, I would highly recommend getting one on board asap. Depending on how your "paper work" is executed; there may be things to do or not do and depending on your State law (each state law is different, re: things such as a POA, guardianship, finding the person lacks capacity to make decisions thereby allowing you to take over).
Further, the paperwork from a nursing home (AL or other facilities) is a contract! You'll want an attorney to review as there are "trick questions" in these contracts, such as you agree to take him back if funds run out or he's a "problem" resident. Those words "problem resident" are not in the contract, but tricky legalese can be confusing by intention.
You want the facility to have the responsibility of a "safe placement" if he cannot stay in the facility you choose. If you agree to take him back, they just dump him back in your lap to work it out.
These facilities are expensive, and an attorney can help work through ways to protect you financially as the spouse not in need of nursing home care.
Contact you State Bar Association for names of licensed elder care attorneys where you live.
Also, they will know the best facilities to consider!
Good luck with this
So happy you put your foot down, and that you will definitely advocate for him, yet sorry that this is now your lot in life.
I hope and pray that you get all the help that you’ll need to navigate through this rather tough, difficult journey!
Wishing you the best outcome ❤️
She will scream and holler and go on on about not having dementia.
She had a real fit when I first visited and stayed at her neighbor's home until the house was cleaned and sanitized. She took it as her home not being good enough for me, when in fact that wasn't it at all. She messed all over the house and beds and expected me to sleep in it. She thought it wasn't "tidy" enough because of papers lying around, clothes not folded and dishes in the sink. That wasn't even it at all. I had it professionally cleaned, but am sure it's right back to how it was before and I refuse to spend a penny more of my money to have it professionally cleaned and sanitized.
Be happy you're getting him in a facility. I envy all of you who have made this commitment. It's best for all involved.
I would go with option 2, because 911 failed me. If he changes his mind and not go, then try option 1, although it didn't work for me. All the best.
If the facility does NOT seem to understand, then you are in the wrong place or with the wrong interviewer.
Be confident in your answers. YOU know what it happening. YOU know what he will say and YOU have the truth. He says "I'm not incontinent" and you say to the staff member listening "that's why I clean soiled ... everyday" or whatever the specifics are. And get specific, not nuanced, don't hide ANYTHING "nasty". Be blunt with a loving, caring matter of fact tone.
As a daughter there are many items I did not think I would ever discuss with my parents or caregivers. At this point in my journey, nothing is off limits. Not potty stuff, not sexual stuff, not body irregularities, nothing. They aren't called "hard discussions" for nothing and the "hard" is on me, the cognitive person that handles the "everything" and has to talk to caregivers on a regular basis.
Be firm, loving and KNOW it is the right move for you. He will argue, deny, verbally abuse so you need to REALLY KNOW in your heart this is the right move AND keep knowing it through the junk. Safe your heart and your life.
Get your paperwork in order - DNR, POA, MPOA, trust, will, list of assets, etc. In Arizona, where my dad is (my mom passed last month) there is a Mental POA as well. I hope you have most of that in place already.
Does your husband need a "nursing home"
Seems that "nursing home" is a catch all phrase.
there are different facilities.
SKILLED NURSING facility or SNF is what many think of or used to think of as a "nursing home". The SNF is for people with medical conditions that need actual medical care or they have "tubes", oxygen, feeding, or "ostomies" that need care.
MEMORY CARE is a facility typically locked for people with cognitive conditions. And locked so that they do not wander out of the facility. Cognitive conditions would include any dementia, TBI, Downs, just to name a few.
ASSISTED LIVING is a facility where a person can live and get help from staff with their ADL's .. Typically not locked residents can come and go as they wish.
INDEPENDEDT LIVING a facility where a person would live just as you would live in any other apartment or condo. The facility may provide services that would may not be available in an apartment or condo. (I call my friends IL facility a "land cruise ship" it has all the stuff you would find on a cruise ship (including an ice cream machine!)
It sounds like your husband would be in either Assisted Living or Memory Care depending on his cognition and if he might try to leave the facility.
It might be wise to get his doctor to indicate in writing that he needs 24/7 care that can not be provided at home. YOU need to tell his doctor that you are unable to provide adequate care for him.
Everyone has a "line in the sand" and for you incontinence is that line. Although your other option would be to hire caregivers that would come daily to help care for him.
Please understand the differences of facilities that take care of our loved ones. Someone has posted about that. Facilities have evolved in this modern age to meet the needs of the residents they serve. Their caregivers are better trained than ever, attend training sessions as part of their jobs, and are kind, caring and wise. They wouldn't last long in those difficult jobs if they weren't.
I'm not a caregiving professional and have never worked in the medical field, but I've had lots of experience in placing loved ones and in caring for them at home. I have no vested interest in speaking up for care facilities, but I believe that they are sometimes needlessly maligned and that standard beliefs about them are often wrong.
Please don't underestimate them. Facilities handle things in a very professional manner in most cases, and your husband most likely will not be able to put anything over on them. He will be evaluated by professionals who are accustomed to anything he can throw at them, and he will be placed according to his needs. Our health system is much better than you're giving them credit for. My husband currently resides in memory care, his second one in the past 6 months. Both places are doing their very best, and he is content.
Why in the world would any facility have a vested interest in turning anyone away? They need to make money. And how would you know the difference between a good place and a bad one? Visit some. Then you'll have a more accurate picture of "our health care system."
I presume some that charge $5,000-$10,000 a month, they have top of the line trained personnel. However, nursing homes for those who depend on government aid is quite different.
Ultimately, a person moving in or having a loved one move in needs to do their due diligence, ask a lot of questions, take a tour, meet the staff, read the contract.
I mention this because you will need some time off, even if now you do not want to miss a day or think you 'should' be there every day. You need time to yourself - to renew, to learn how to be in your new life, too. It is a huge change for both of you. Lean on your friends as you can. Go out for lunch with the girls ... realize that you deserve to enjoy yourself as you will have more free time. And, you may feel very lonely / alone as this will be so new for you. Get the support you will need. And, good for you for taking a stand. Gena
As a care partner for an Alzheimer’s, patient, I have gone to the Alzheimer’s Support network and have learned about the brain change. We have to learn to go into their world as they no longer have the ability to be in ours.
Please get some counseling about your partners condition so you can make your life and his life much better and easier for both of you!
All understanding and changes about this disease will fall on your shoulders. They do not have the ability to understand or change! Praying for you as this is a long, ugly disease. And if you do not have the ability to take care of them, please find a facility that does. Praying for you.🙏🏻